Could you return the lines underneath up to the one that holds "_symmetry_Int_Tables_number", that line included?

# La7Zn2N2
Computed powder XRD pattern, Cu Kα, 1.54184 Å. Input: a PBE-relaxed structure.
No peak broadening, texture or thermal motion is included.

Structure:
```
data_La7Zn2N2
_chemical_formula_sum 'La7 Zn2 N2'
_cell_length_a 6.9266
_cell_length_b 6.9266
_cell_length_c 6.7071
_cell_angle_alpha 94.43
_cell_angle_beta 94.43
_cell_angle_gamma 64.77
_symmetry_space_group_name_H-M 'P 1'
_symmetry_Int_Tables_number 1
loop_
_symmetry_equiv_pos_as_xyz
'x,y,z'
loop_
_atom_site_label
_atom_site_type_symbol
_atom_site_fract_x
_atom_site_fract_y
_atom_site_fract_z
_atom_site_occupancy
La1 La 0.0000 0.0000 0.0000 1
La2 La 0.0423 0.4979 0.7573 1
La3 La 0.4398 0.4398 0.2095 1
La4 La 0.4979 0.0423 0.7573 1
La5 La 0.5021 0.9577 0.2427 1
La6 La 0.5602 0.5602 0.7905 1
La7 La 0.9577 0.5021 0.2427 1
Zn1 Zn 0.1662 0.8338 0.5000 1
Zn2 Zn 0.8338 0.1662 0.5000 1
N1 N 0.2265 0.2265 0.0207 1
N2 N 0.7735 0.7735 0.9793 1
```

The 6 most intense peaks (2θ from 15° to 90°), in order of rising 2θ:
d 3.129, 28.52 deg, I = 100.0; d 3.008, 29.70 deg, I = 39.6; d 2.912, 30.70 deg, I = 47.3; d 2.785, 32.14 deg, I = 73.1; d 2.342, 38.44 deg, I = 44.3; d 2.289, 39.36 deg, I = 31.9

# La7Zn2N2
Computed powder XRD pattern, Cu Kα, 1.54184 Å. Input: a PBE-relaxed structure.
No peak broadening, texture or thermal motion is included.

Structure:
```
data_La7Zn2N2
_chemical_formula_sum 'La7 Zn2 N2'
_cell_length_a 6.9266
_cell_length_b 6.9266
_cell_length_c 6.7071
_cell_angle_alpha 94.43
_cell_angle_beta 94.43
_cell_angle_gamma 64.77
_symmetry_space_group_name_H-M 'P 1'
_symmetry_Int_Tables_number 1